
How is the Job Market in Croatia? Interview with Director Ines Bokan

The page is interrupted by materials data:
/*
First-principles (GGA-PBE) data for a relaxed structure of Hf2PaHg, as listed in Alexandria via LeMat-Bulk.

Computed properties:
space group: No. 123
mass density: 14.70 g/cm³
offset from the most stable computed form: 36 kJ/mol of formula units
N(E_F): 1.133 states/eV/atom
ΔE_f: 72 meV/atom
final energy: -7.3541 eV/atom

Cell: 3.5901 3.5901 6.9107 Å, 90.00 90.00 90.00°
With the nearest neighbours (Å) after each atom.
Atoms (fractional coordinates):
Hf  0.0000  0.0000  0.2506  4 Hg 3.07, 4 Pa 3.07
Hf  0.0000  0.0000  0.7494  4 Hg 3.07, 4 Pa 3.07
Hg  0.5000  0.5000  0.5000  8 Hf 3.07
Pa  0.5000  0.5000  0.0000  8 Hf 3.07

~~~~~

# 1
This record from Alexandria via LeMat-Bulk describes a relaxed KLi2DyF6 crystal. The functional is PBE-GGA.

a b c (Å): 5.632 5.630 5.905
angles (deg): 61.51 61.50 60.01
Fractional positions:
K (0.789, 0.788, 0.635)
Li (0.523, 0.523, 0.430)
Li (0.022, 0.023, 0.932)
Dy (0.309, 0.309, 0.072)
F (0.616, 0.268, 0.227)
F (0.268, 0.888, 0.227)
F (0.888, 0.617, 0.227)
F (0.312, 0.731, 0.755)
F (0.731, 0.203, 0.755)
F (0.202, 0.312, 0.755)

* symmetry: R3

***

# 2
This record from Alexandria via LeMat-Bulk describes a relaxed K2LiDyF6 crystal. The functional is PBE-GGA.

a b c (Å): 6.031 6.028 8.539
angles (deg): 90.00 90.11 90.00
Fractional positions:
K (0.002, 0.985, 0.249)
K (0.502, 0.515, 0.749)
K (0.998, 0.015, 0.751)
K (0.498, 0.485, 0.251)
Li (0.500, 0.000, 0.500)
Li (0.000, 0.500, 0.000)
Dy (0.500, 0.000, 0.000)
Dy (0.000, 0.500, 0.500)
F (0.274, 0.719, 0.022)
F (0.774, 0.781, 0.522)
F (0.726, 0.281, 0.978)
F (0.226, 0.219, 0.478)
F (0.281, 0.726, 0.478)
F (0.781, 0.774, 0.978)
F (0.719, 0.274, 0.522)
F (0.219, 0.226, 0.022)
F (0.957, 0.507, 0.246)
F (0.457, 0.993, 0.746)
F (0.043, 0.493, 0.754)
F (0.543, 0.007, 0.254)

* symmetry: P2_1/c

***

# 3
This record from Alexandria via LeMat-Bulk describes a relaxed KLiDyF5 crystal. The functional is PBE-GGA.

a b c (Å): 6.196 6.196 8.269
angles (deg): 103.47 103.47 107.27
Fractional positions:
K (0.341, 0.659, 0.250)
K (0.659, 0.341, 0.750)
Li (0.685, 0.315, 0.250)
Li (0.315, 0.685, 0.750)
Dy (0.000, 0.000, 0.500)
Dy (0.000, 0.000, 0.000)
F (0.076, 0.924, 0.250)
F (0.924, 0.076, 0.750)
F (0.900, 0.296, 0.115)
F (0.100, 0.704, 0.885)
F (0.704, 0.100, 0.385)
F (0.296, 0.900, 0.615)
F (0.755, 0.628, 0.406)
F (0.245, 0.372, 0.594)
F (0.372, 0.245, 0.094)
F (0.628, 0.755, 0.906)

* symmetry: C2/c

***

# 4
This record from Alexandria via LeMat-Bulk describes a relaxed K2DyMg3F12 crystal. The functional is PBE-GGA.

a b c (Å): 6.963 6.963 6.963
angles (deg): 64.72 64.72 64.72
Fractional positions:
K (0.610, 0.610, 0.610)
K (0.390, 0.390, 0.390)
Dy (0.000, 0.000, 0.000)
Mg (0.500, 0.000, 0.000)
Mg (0.000, 0.500, 0.000)
Mg (0.000, 0.000, 0.500)
F (0.273, 0.273, 0.899)
F (0.873, 0.873, 0.382)
F (0.382, 0.873, 0.873)
F (0.899, 0.273, 0.273)
F (0.873, 0.382, 0.873)
F (0.273, 0.899, 0.273)
F (0.727, 0.727, 0.101)
F (0.127, 0.127, 0.618)
F (0.618, 0.127, 0.127)
F (0.101, 0.727, 0.727)
*/
Here the page continues:

By 22 July 2022
How is the Job Market in Croatia? Interview with Director Ines Bokan
Photo credit Bozidar Babic

July 22, 2022 - Stories of emigration due to lack of good jobs coupled with employers unable to find workers. What is the reality of the Croatian job market today? We asked Ines Bokan, who runs one of the country's leading job search companies, 

A few months ago, I place an ad on TCN's Facebook page looking for the next round of candidates for our intern programme. Minutes later, I received a very nice email from Ines Bokan from, offering to run my ad for free on the homepage. 

The results were great - some 45 very high-quality applicants. Having planned on taking three, we ended up taking five interns, and they were the best crop in our programme so far. 

Being self-employed for over 20 years, I have not had to look for a job for a long time, and I must confess that the Croatian job market fascinates me. Everyone is emigrating as there are no decent jobs with a good salary,  while desperate employers are now looking abroad to fill positions. So what is the actual state of the job market today in Croatia? I am very grateful to Ines Bokan for finding time to give her thoughts on the job market. And, in a new weekly feature on TCN, Ines will be sending us 10 of the best job openings of the week, which we will be publishing on a weekly basis, as well as sharing in our newsletter - you can subscribe here

We hear a lot about Croats emigrating as there are no jobs, and then on the other hand, businesses that cannot find staff. It can't be both, can it? What is the current situation with the Croatian labour market? Can you give us an overview?

Some say that there are jobs, but not enough quality opportunities. Croats leave our country for different reasons, not only job-related ones. The current situation in the job market is not like it used to be - job seekers are running the show. Employers are facing different challenges in attracting and hiring candidates, as well as retaining employees. Whatever good activities employers used to do, now come to focus. Employment is an agreement, and both parties should agree on expectations. There is a huge gap between what the job market needs and the job seekers’ qualifications (just think how hard it is to find craftsmen, master craftsmen, and highly skilled and experienced managers). In the end, it is a known fact that great employees are hard to find, now just a bit harder. Being up to date with your competencies as a job seeker will help you find better opportunities. Being a good employer will give companies a bit of an advantage in the job market.


What types of job are most in demand?

The situation is similar every year – the job market is lacking, but not limited to, experts and workers in the hospitality, construction, craftsman and IT fields.

The IT sector is booming, and I have heard many companies having difficulty finding staff and even beginning to try and attract talent from abroad to fill the positions. What are your thoughts?

Croatia is a great country and recognized as a nice place to live; we finally could embrace expats and foreign workers. They bring new competencies, new knowledge and teachings which we could be missing without them. Remote work as well is offering our IT experts global recognition and the opportunity to expand their businesses even further.

Are you seeing much impact with remote work on job trends? If so, tell us more.

Remote work is a great option and many employers are open to this solution. After presenting remote work as a benefit, many companies shifted and are now presenting work from the office as a benefit and their EVP.

How would you compare the pre-pandemic job market to the job market in Croatia today?

The job market was much more in favour of employers before. Now, job seekers have an advantage to push employers to improve job opportunities and benefits. The pandemic gave people enough time to rethink their life choices and wishes, so many of them changed their jobs and careers. Globally, the great shift is happening and does not show signs of stopping. This is a great time for good employers to attract great candidates.


What about wages. What kind of salaries are being offered at the moment - are you seeing Croatian salaries becoming more competitive?

Salary ranges are raised in many industries and companies, if their business model can approve that. Unfortunately, not all businesses will be able to do that. Even with this increase, in many industries Croatian salaries are still below the European standard.

____________
<P>
# TcSb2Br

A relaxed TcSb2Br crystal (PBE, Alexandria via LeMat-Bulk).

a = 3.1968 Å, b = 4.8415 Å, c = 12.2381 Å
α = 90.00°, β = 90.00°, γ = 90.00°
Space group Immm (No. 71)
Unique sites:
Tc 0.0000 0.0000 0.0000 [2 per cell]
Sb 0.0000 0.5000 0.3175 [4 per cell]
Br 0.0000 0.0000 0.5000 [2 per cell]

## Properties
DOS(E_F) ... 1.0737 states/eV per atom
M_tot ... 0.005 μB per cell

=====

<Q>
# TcSb2Br

A relaxed TcSb2Br crystal (PBE, Alexandria via LeMat-Bulk).

a = 7.1100 Å, b = 7.1100 Å, c = 7.1100 Å
α = 90.00°, β = 90.00°, γ = 90.00°
Space group Fm-3m (No. 225)
Unique sites:
Tc 0.0000 0.0000 0.0000 [4 per cell]
Sb 0.2500 0.2500 0.2500 [8 per cell]
Br 0.0000 0.0000 0.5000 [4 per cell]

## Properties
DOS(E_F) ... 0.5361 states/eV per atom
M_tot ... 7.813 μB per cell

=====

Most stable: <P>. Least stable: <Q>.

=====

<P>
# TcSb2Br

A relaxed TcSb2Br crystal (PBE, Alexandria via LeMat-Bulk).

a = 3.4514 Å, b = 5.3904 Å, c = 10.2620 Å
α = 90.00°, β = 90.00°, γ = 90.00°
Space group Amm2 (No. 38)
Unique sites:
Tc 0.0000 0.0000 0.0000 [2 per cell]
Sb 0.0000 0.0000 0.5155 [2 per cell]
Sb 0.5000 0.0000 0.8080 [2 per cell]
Br 0.5000 0.0000 0.2029 [2 per cell]

## Properties
DOS(E_F) ... 0.4607 states/eV per atom
M_tot ... 0.000 μB per cell

=====

<Q>
# TcSb2Br

A relaxed TcSb2Br crystal (PBE, Alexandria via LeMat-Bulk).

a = 3.3510 Å, b = 4.3458 Å, c = 13.9739 Å
α = 90.00°, β = 90.00°, γ = 90.00°
Space group Imm2 (No. 44)
Unique sites:
Tc 0.0000 0.0000 0.0000 [2 per cell]
Sb 0.0000 0.0000 0.5148 [2 per cell]
Sb 0.0000 0.5000 0.3456 [2 per cell]
Br 0.0000 0.5000 0.6950 [2 per cell]

## Properties
DOS(E_F) ... 0.5223 states/eV per atom
M_tot ... 0.000 μB per cell

=====

<R>
# TcSb2Br

A relaxed TcSb2Br crystal (PBE, Alexandria via LeMat-Bulk).

a = 5.3244 Å, b = 5.3244 Å, c = 3.1217 Å
α = 90.00°, β = 90.00°, γ = 90.00°
Space group P4/mmm (No. 123)
Unique sites:
Tc 0.0000 0.0000 0.0000 [1 per cell]
Sb 0.0000 0.5000 0.5000 [2 per cell]
Br 0.5000 0.5000 0.0000 [1 per cell]

## Properties
DOS(E_F) ... 0.9053 states/eV per atom
M_tot ... 1.598 μB per cell

=====

Most stable: <P>. Least stable: <R>.

=====

<P>
# Tc3SbBr

A relaxed Tc3SbBr crystal (PBE, Alexandria via LeMat-Bulk).

a = 5.0822 Å, b = 5.0822 Å, c = 5.0822 Å
α = 90.00°, β = 90.00°, γ = 90.00°
Space group Pm-3m (No. 221)
Unique sites:
Tc 0.0000 0.0000 0.5000 [3 per cell]
Sb 0.0000 0.0000 0.0000 [1 per cell]
Br 0.5000 0.5000 0.5000 [1 per cell]

## Properties
DOS(E_F) ... 1.3974 states/eV per atom
M_tot ... 8.199 μB per cell

=====

<Q>
# Tc3SbBr

A relaxed Tc3SbBr crystal (PBE, Alexandria via LeMat-Bulk).

a = 4.6161 Å, b = 4.6161 Å, c = 4.6161 Å
α = 90.00°, β = 90.00°, γ = 90.00°
Space group Pm-3m (No. 221)
Unique sites:
Tc 0.0000 0.0000 0.5000 [3 per cell]
Sb 0.5000 0.5000 0.5000 [1 per cell]
Br 0.0000 0.0000 0.0000 [1 per cell]

## Properties
DOS(E_F) ... 1.4039 states/eV per atom
M_tot ... 1.526 μB per cell

=====

Most stable: <Q>. Least stable: <P>.

=====

<P>
# TcSb3Br
____________

Which industries are in the highest demand?

Croatia is again facing increased demand in hospitality, IT, construction and retail workers the most.

There seems to be a marked increase in foreign labour in the hospitality and construction business, mostly from Asia. What can you tell us about that?

Job seekers are focused on looking for better opportunities, salaries, and benefits. If their own country cannot offer that, they will seek it abroad. So this shift shouldn’t be a surprise, as it presents Croatia as a good country to work in. If employers are forced to hire foreign labour, it’s best to give them a chance and show them how great our country is. As well, it is disheartening to see that we are losing our people who choose to look for better opportunities elsewhere.


How do you see the employment market in Croatia 12 months from now - how will it be different from today?

It’s hard to predict anything if looking at the global situation and expectations. Good candidates will always find new careers and jobs more easily, and good companies will find talent. We should all work on expanding our competencies and knowledge as this is a sure way to have a good position in the job market.

Many of them will confirm their job market position, and I hope that the rest do whatever is possible to improve their status. Although there is a recession to be expected, those times always bring new ideas, new businesses, and new successes. I am looking forward to new success stories being revealed and shared as motivation for all of us. 

Between two parts of the article: crystal structures:
<<<
Crystalline CuNi2AsO6 at its relaxed geometry, computed with PBE+U.

```
10
Lattice="4.897 0.000 0.000 2.336 4.520 0.000 0.068 2.563 4.551" Properties=species:S:1:pos:R:3 pbc="T T T"
Cu 0.000 0.000 0.000
Ni 2.385 4.196 2.722
Ni 4.841 2.851 0.561
As 4.802 5.770 2.349
O 0.861 1.149 1.382
O 1.697 2.486 3.596
O 3.117 2.697 1.530
O 4.203 4.430 3.483
O 5.751 4.460 1.378
O 6.313 5.708 3.656
```

Values from the calculation:
**M_tot**: 4.03 μB/f.u.
**D(E_F)**: 2.2 states/eV per cell
**Total energy**: -5.273 eV/atom


AcScCr2O6: optimized geometry, GGA+U.

Values from the calculation:
Magnetization   0.60 μB per atom
VASP energy   -0.30129 hartree per atom

Cell lengths 5.4847, 5.4847, 13.9079 Å; angles 90.00, 90.00, 120.00 degrees
Closest atoms and distances in Å follow each position.
Space group R3 (No. 146, hexagonal axes)
Asymmetric unit:
Ac 0.0000 0.0000 0.0000  3 O 2.43
Sc 0.0000 0.0000 0.5347  6 O 2.17-2.18
Cr 0.0000 0.0000 0.2395  6 O 2.00-2.07
Cr 0.0000 0.0000 0.7465  6 O 2.02-2.05
O 0.0003 0.3791 0.4903  2 Cr 2.02-2.07, 1 Sc 2.17
O 0.1172 0.7630 0.3142  2 Cr 2.00-2.05, 1 Sc 2.18
>>>
So much for the crystal structures:

Ines Bokan has more than ten years of experience in Human Resources which she combines with experience from sales, advertising, IT fintech and the retail industry. Now she runs, one of Croatia’s leading job sites.

Looking for a job in Croatia? In a new weekly feature on TCN, Ines has selected her top 10 jobs this week. If you would like to receive these regularly, please subscribe to the TCN newsletter.
